Data sets associated with publications
Here you will find data sets associated with our lab's publications.
Fame, RM, Kalugin, PN, Petrova, B, Xu, H, Soden, PA, Shipley, FB, Dani, N, Grant, B, Pragana, A, Head, JP, Gupta, S, Shannon, ML, Chifamba, FF, Hawks-Mayer, H, Vernon, A, Gao, F, Zhang, Y, Holtzman, MJ, Heiman, M, Andermann, ML, Kanarek, N, Lipton, JO, Lehtinen, MK. Defining diurnal fluctuations in the choroid plexus and CSF at high molecular, spatial, and temporal resolution. Nature Communications 2023 Jun 22;14(1):3720.
# Attached: records of molecules
┌──
Record 1
Computed, not measured: a 6-piece molecular cluster, C22H53BI2O7 overall, with ωB97M-V with the def2-TZVPD basis set.

SMILES string: CC(=O)OCCB[C@H](I)[C@H](C)I.CC(C)O.CC(C)O.CC(C)O.CC(C)O.CC(C)O
LUMO level in eV: 0.117
E in eV: -54883.26153
Highest occupied orbital energy in eV: -9.45

Geometry as XYZ:
```
85
Properties=species:S:1:pos:R:3:forces:R:3:lowdin_charge:R:1
H -1.594 -1.728 -0.876 0.1 0.0 -0.1 0.083
H -7.912 -6.907 6.457 0.0 0.0 0.0 0.088
H 5.363 6.754 0.151 0.0 0.0 0.0 0.077
C 0.298 4.013 -0.650 0.2 0.0 -0.1 0.028
H 5.688 2.346 -8.167 0.0 0.0 0.0 0.079
O 1.638 2.905 -2.294 -0.2 -0.1 0.0 0.106
C -5.105 -2.682 4.898 -0.1 0.0 0.1 -0.494
H -1.115 1.292 0.281 0.0 0.0 -0.1 0.083
H 3.174 -0.603 -2.015 0.0 0.0 0.0 0.126
O 2.992 -2.519 -1.474 0.0 0.0 0.0 -0.055
H 3.093 6.012 -3.415 0.0 0.0 0.0 0.085
H -4.957 0.761 -1.221 0.0 0.1 0.1 0.070
H 5.423 -2.546 -2.713 0.0 0.0 0.0 0.081
H -4.966 -7.596 8.437 0.0 0.0 0.0 0.081
C 3.855 -1.417 -1.754 0.0 0.1 0.0 -0.510
H -6.820 -9.160 6.452 0.0 0.0 0.0 0.081
C 5.418 6.390 -0.875 0.0 0.0 0.0 -0.060
C -2.980 0.044 -1.641 -0.1 -0.1 0.2 -0.766
H -6.887 -3.913 4.891 0.0 0.0 0.0 0.070
C 1.102 2.875 -1.220 0.2 -0.1 0.0 -0.533
I -4.086 -0.167 1.081 -0.1 0.0 0.1 1.057
H 5.194 4.031 -8.405 0.0 0.0 0.0 0.078
C -0.704 0.332 -0.041 0.0 0.0 0.1 -0.157
H -7.026 -2.410 3.952 0.0 0.0 0.0 0.080
O -4.440 -1.738 4.053 0.0 -0.1 -0.1 -0.122
C -3.955 0.878 -0.812 -0.1 0.1 -0.4 -0.780
H -0.197 3.748 0.281 0.1 0.0 0.0 0.082
H -4.667 -4.476 6.002 0.0 0.0 0.0 0.061
O 4.980 4.667 -5.822 0.0 0.0 -0.1 -0.062
H 6.700 3.871 -6.450 0.0 0.0 0.0 0.137
C -5.979 -7.177 6.568 0.1 0.0 0.0 -0.511
H 5.779 5.358 -0.855 0.0 0.0 0.0 0.081
C 4.755 -1.711 -2.943 0.0 -0.1 0.0 -0.058
H 1.311 -0.210 -0.640 -0.1 -0.1 -0.1 0.114
H 0.989 4.844 -0.495 -0.2 0.1 0.0 0.069
H -5.055 -9.125 6.355 0.0 0.0 0.0 0.080
H -4.124 2.728 0.305 0.0 0.0 0.0 0.062
H 4.564 2.043 -5.255 0.0 0.0 0.0 0.082
C 5.601 2.363 -5.393 0.0 0.0 0.0 -0.065
H -3.537 -0.750 -2.133 0.0 0.0 0.1 0.051
I -2.149 1.105 -3.324 0.0 0.1 -0.1 0.954
H 4.406 4.904 -2.999 0.0 0.0 0.0 0.076
H 6.002 2.646 -4.420 0.0 0.0 0.0 0.076
C 5.664 3.536 -6.357 0.0 0.0 0.0 -0.503
B -1.746 -0.543 -0.831 0.0 0.0 0.0 -0.411
H -5.386 -2.099 5.778 0.0 0.0 0.0 0.139
C -5.965 -8.606 6.051 -0.1 0.0 0.0 -0.060
H -3.846 -4.370 4.439 0.0 0.0 0.0 0.086
C 4.088 5.949 -2.972 0.0 0.1 0.0 -0.066
H -6.029 -8.619 4.964 0.0 0.0 0.0 0.080
C 5.129 3.176 -7.733 0.0 0.0 0.0 -0.063
H 5.312 -1.836 -0.220 0.0 0.0 0.0 0.081
H 6.170 1.511 -5.771 0.0 0.0 0.0 0.078
H -0.436 4.320 -1.397 0.1 0.0 0.0 0.094
H 3.687 7.481 -1.517 0.0 0.0 0.0 0.138
C -6.358 -3.224 4.231 0.0 0.0 0.0 -0.052
C 4.648 -1.020 -0.520 0.0 0.0 0.0 -0.057
H 0.438 0.663 -1.905 0.0 0.0 0.0 0.066
H 5.370 -0.845 -3.192 0.0 0.0 0.0 0.075
C -5.878 -7.114 8.083 0.0 0.0 0.0 -0.060
C 4.054 6.453 -1.541 0.0 0.0 -0.1 -0.490
H 3.541 -3.274 -1.234 0.0 0.0 0.0 0.086
H -2.580 2.537 -0.534 -0.1 0.0 0.0 0.044
H -5.880 -6.079 8.424 0.0 0.0 0.0 0.078
└──
- The sequencing data from the TRAP study (for Figs. 1–3) generated in this study have been deposited in the GEO database under accession number GSE161877.
- The metabolomics data have been deposited in the Metabolomics Workbench databaseunder study ID ST002707.
- Code used for photometry processing, time-lapse explant imaging analysis, and vesicle apical-basal localization (Figs. 4 and 6) is publicly available [].
Dani, N*, Herbst, RH*, McCabe, C, Green, G, Kaiser, K, Head, J, Cui, J, Shipley, FB, Jang, A, Dionne, D, Nguyen, L, Rodman, C, Riesenfeld, SJ, Prochazk, J, Prochazkova, M, Sedlacek, R, Zhang, F, Bryja, V, Rozenblatt-Rosen, O, Habib, N#, Regev, A#, Lehtinen, MK# (co-senior authors). A cellular and spatial map of the choroid plexus across brain ventricles and ages. Cell 2021 May 27 184(11)3056-3074. Available online 4/27/2021.
- Raw and processed mouse sequencing data are available at Single Cell Portal and Gene Expression Omnibus (GEO) database GSE168704.
Quantum chemistry results, as found in the file >
<<<
Entry A
ORCA calculation (ωB97M-V/def2-TZVPD) on a 10-piece molecular cluster, C24H74N6O10 overall.

```
114
Properties=species:S:1:pos:R:3
C -1.2544 -0.0410 -2.9657
O -0.7992 -0.1190 -4.3117
C -0.8449 1.0594 -5.1847
C -1.1296 0.6632 -6.6855
C -0.6557 1.7699 -7.6809
N -2.4841 0.3561 -6.9596
H -1.4053 -1.0809 -2.6757
H -2.2121 0.4728 -2.8820
H -0.5364 0.5390 -2.3860
H -1.7459 1.5779 -4.8569
H -0.0008 1.6981 -4.9245
H -0.5515 -0.2463 -6.8492
H -0.7185 1.5226 -8.7407
H 0.4014 2.0313 -7.6330
H -1.1140 2.7379 -7.4786
H -2.7951 -0.2866 -6.2452
H -2.6277 -0.0892 -7.8547
C -3.1312 2.2802 6.7588
O -2.0170 1.6380 6.2058
C -1.4842 2.5453 5.1747
C -0.1675 2.0023 4.4610
C 0.6545 3.0506 3.6061
N -0.5715 0.9502 3.5492
H -3.5845 1.6023 7.4819
H -3.8427 2.5286 5.9713
H -2.9618 3.2690 7.1851
H -2.2190 2.7450 4.3948
H -1.1313 3.5371 5.4573
H 0.5246 1.6720 5.2356
H 1.4883 2.5594 3.1046
H 0.8806 3.9099 4.2375
H -0.0291 3.3731 2.8208
H -1.1941 0.4432 4.1619
H -1.1696 1.1567 2.7620
C -6.5239 2.5710 -0.3741
O -5.3939 2.1777 -1.1601
C -4.5517 1.2711 -0.5286
C -3.7781 2.0546 0.6310
C -3.1058 3.3871 0.1580
N -2.7180 1.1558 1.1667
H -6.0769 3.4069 0.1639
H -6.9385 1.8643 0.3448
H -7.2787 2.7884 -1.1299
H -5.2072 0.4746 -0.1763
H -3.8233 0.8622 -1.2288
H -4.3050 2.1004 1.5841
H -2.3774 3.7676 0.8741
H -3.7984 4.1170 -0.2610
H -2.4664 3.1400 -0.6895
H -3.0680 0.2159 1.2862
H -2.0612 0.9565 0.4257
C 4.2047 -3.9647 -4.7191
O 3.5541 -2.7203 -4.3494
C 3.4994 -2.4368 -2.9325
C 2.4856 -1.3798 -2.5073
C 2.7850 -0.0222 -3.0607
N 2.2749 -1.1111 -1.0764
H 3.7584 -4.8338 -4.2358
H 5.2401 -3.9906 -4.3795
H 4.1726 -4.1057 -5.7995
H 3.2815 -3.3185 -2.3298
H 4.5182 -2.2293 -2.6053
H 1.5119 -1.8335 -2.6921
H 2.0788 0.8014 -2.9551
H 3.0792 -0.1013 -4.1072
H 3.6749 0.3687 -2.5675
H 1.3331 -0.7490 -1.0322
H 2.2458 -2.0312 -0.6608
C 4.5292 -4.3722 2.0083
O 4.9778 -3.1330 1.8321
C 3.9551 -2.1897 1.9249
C 4.4996 -0.8325 1.6309
C 5.3465 -0.2708 2.6887
N 3.4657 0.1451 1.4109
H 3.7027 -4.6711 1.3635
H 4.1340 -4.6057 2.9969
H 5.3563 -5.0749 1.9073
H 3.2139 -2.5194 1.1969
H 3.4483 -2.2123 2.8896
H 5.0888 -0.8144 0.7141
H 5.7805 0.7274 2.6297
H 6.1317 -0.9570 3.0060
H 4.8001 -0.1440 3.6233
H 2.8094 0.0009 0.6569
H 3.9861 0.9498 1.0919
C 0.2852 -3.6900 0.4722
O -0.9683 -2.9135 0.2494
C -1.3316 -2.2926 1.5082
C -2.8205 -2.1067 1.7792
C -3.6312 -3.3885 1.9897
N -3.4526 -1.4938 0.5790
H 0.2762 -4.1854 1.4431
H 1.1586 -3.0397 0.5204
H 0.4988 -4.4360 -0.2932
H -0.8498 -2.6734 2.4087
H -0.9204 -1.3002 1.6932
H -2.9438 -1.3592 2.5629
H -3.3957 -3.9327 2.9043
H -3.4094 -4.1192 1.2120
H -4.6983 -3.1672 2.0093
H -3.0708 -2.1048 -0.1289
H -4.4594 -1.5040 0.4991
O 1.0418 4.7270 0.3592
H 1.9237 4.7593 0.7298
H 1.0548 3.9692 -0.2254
O 2.1599 2.3225 -0.8139
H 2.9930 2.7319 -0.5802
H 2.3989 1.6206 -1.4193
O 0.0752 0.9580 0.2037
H 0.3108 0.8485 1.1250
H 0.7802 1.4920 -0.1624
O 2.2042 -0.1529 3.8091
H 2.4715 -0.2246 2.8928
H 1.2962 0.1477 3.7714
```

Orbital gap: 8.4 eV
Net charge: 0
HOMO level: -8.2099 eV

***

Entry B
>>>
The piece goes on >
- Code is available.
Shipley, FB* Dani, N* Xu, H, Deister, C, Cui, J, Head, JP, Sadegh, C, Fame, RM, Shannon,ML, Flores, VI, Kishkovich, T, Jang, E, Klein, EM, Goldey, G, He, K, Zhang, Y, Holtzman, MJ, Kirchhausen,T, Wyart, C, Moore,CI, Andermann, ML#, Lehtinen, MK# (*, #, equal contribution). Tracking calcium dynamics and immune surveillance at the choroid plexus blood-cerebrospinal fluid interface. Neuron 2020 Nov. 25; 108: 623-639. Available online Sept. 21, 2020.
Xu, H,* Fame, RM,* Sadegh, C, Sutin, J, Naranjo, C, Syau, D, Cui, J, Shipley, FB, Vernon, A, Gao, F, Zhang, F, Holtzman, MJ, Heiman, M, Warf, BC, Lin, P-Y, Lehtinen, MK. Choroid plexus-NKCC1 mediates cerebrospinal fluid clearance during mouse early postnatal development. Nature Communications 2021 Jan. 19; 12:447.
- TRAP_LVChP_Adult_Embryo_FPKM Table
Between two parts of the page: molecular data:
Here is a structure of composition C31H36BCl2IrN2O4SSb at a distorted geometry from OMol25. Energies are from ωB97M-V/def2-TZVPD.

Structure (XYZ):
```
79
Properties=species:S:1:pos:R:3
Ir 0.35055 0.57833 0.24615
O 3.32887 7.06887 -0.13306
C 1.94808 6.90169 -0.32541
C 1.60170 5.45102 -0.15884
C 2.57640 4.52453 0.19647
C 2.22388 3.19376 0.29152
N 0.98332 2.75991 0.06929
C 0.01563 3.65000 -0.20757
C 0.30009 4.99817 -0.34267
C -1.34551 3.09426 -0.34654
C -2.48368 3.88620 -0.33504
C -3.73683 3.30806 -0.46952
C -4.98272 4.15986 -0.46980
O -4.75055 5.45965 0.01743
C -3.80340 1.92759 -0.64154
C -2.63452 1.19849 -0.62056
N -1.43401 1.75909 -0.45500
H 3.56671 7.99349 -0.24775
H 1.63080 7.22259 -1.32488
H 1.36729 7.48409 0.40122
H 3.58870 4.85190 0.37764
H 2.96340 2.44742 0.55089
H -0.48376 5.69687 -0.60421
H -2.41700 4.95804 -0.21515
H -5.77888 3.64644 0.07447
H -5.31492 4.26106 -1.50734
H -5.00144 5.52207 0.94248
H -4.75363 1.43028 -0.78802
H -2.64076 0.12363 -0.75390
Cl 2.65744 0.25910 -1.07862
C 2.93982 -1.41330 -0.72058
C 4.23930 -1.85726 -0.57678
C 4.46858 -3.18920 -0.26855
C 3.40336 -4.05639 -0.10671
C 2.10901 -3.59690 -0.28316
Cl 0.80042 -4.70293 -0.09356
C 1.83223 -2.25972 -0.59592
S 0.19659 -1.70687 -0.89449
H 5.06145 -1.16933 -0.71907
H 5.48264 -3.54768 -0.16354
H 3.57048 -5.09525 0.14373
C 0.84317 -1.71229 8.79590
C -0.46511 -1.66150 7.97934
C -1.53743 -0.89621 8.78293
C -0.95292 -3.09116 7.74640
C -0.21109 -0.92181 6.68515
C 0.30745 0.41024 6.75557
C 0.59596 1.16655 5.64784
C 0.34802 0.56796 4.41906
O 0.54497 1.04813 3.19385
B 0.12765 0.04750 2.27330
O -0.32608 -1.06140 3.02300
C -0.18632 -0.74265 4.32553
C -0.46390 -1.49736 5.44204
H 0.68032 -2.30506 9.69510
H 1.17500 -0.72285 9.10910
H 1.64263 -2.17798 8.21691
H -1.68976 -1.39392 9.74008
H -2.48629 -0.88421 8.24405
H -1.24312 0.13392 8.98461
H -1.10941 -3.57756 8.70776
H -0.21769 -3.67955 7.19334
H -1.90370 -3.10991 7.20979
H 0.48431 0.84757 7.72773
H 0.99877 2.16726 5.71481
H -0.85017 -2.50137 5.34523
C -2.66458 -3.37311 -1.03728
Sb -1.79248 -3.30776 0.92468
C -3.38846 -2.38537 2.06543
C -2.15411 -5.35857 1.49394
H -3.57593 -3.96845 -0.98581
H -1.95922 -3.82755 -1.72894
H -2.89434 -2.36455 -1.37528
H -4.30938 -2.90299 1.79862
H -3.46798 -1.32490 1.83803
H -3.17857 -2.52547 3.12387
H -3.20053 -5.40838 1.79303
H -1.51676 -5.66747 2.31850
H -1.98200 -6.00040 0.63229
```

Output
- Expectation value of S²: 8.787
- E_tot: -3300.78711 Ha
- HOMO energy (spin up / spin down): -11.61 / -13.13 eV
- Charge: +2
- 2S+1: 6

~~~~~

Run A
# C4H12NO

A cluster of 4 separate species, C4H12NO in total (ωB97M-V with the def2-TZVPD basis set, the Open Molecules 2025 dataset).

Last columns: bonded neighbours and bond lengths (Å).
Geometry (Å):
1 C -1.09 -1.02 -1.23  C2 1.516, N5 1.525, H6 1.128, H7 1.113
2 C -1.48 -0.43 0.11  C1 1.516, C3 1.503, H8 1.086, H9 1.084
3 C -0.43 0.06 1.07  C2 1.503, C4 1.637, H10 1.102
4 C -0.13 1.61 1.50  C3 1.637, H11 1.136, H12 1.181
The page goes on:
- TRAP_LVChP_Adult_Embryo_DEG_DESSeq2 Table
- TRAP_LVChP_Adult_Embryo_DEG_CuffDiff Table
Chau,KF, Shannon, ML, Fame, RM, Fonseca, E, Mullan, H, Johnson, MB, Sendamarai, AK, Springel, MW, Laurent, B, Lehtinen, MK. Downregulation of ribosome biogenesis during early forebrain development. eLife 2018 Publish on acceptance May 10.
Chau, KF, Springel, MW, Broadbelt, KG, Park, H-Y, Topal, S, Lun, MP, Mullan, H, Maynard, T, Steen, H, LaMantia, A-S, Lehtinen, MK, 2015. Progressive differentiation and instructive capacities of amniotic fluid and cerebrospinal fluid proteomes following neural tube closure. Developmental Cell 35, 789–802.
Lun, MP, Johnson, MB, Broadbelt, KG, Watanabe, M, Kang, Y-J, Chau, KF, Springel, MW, Malesz, A, Sousa, AMM, Pletikos, M, Adelita, T, Calicchio, ML, Zhang, Y, Holtzman, MJ, Lidov, HGW, Sestan, N, Steen, H, Monuki, ES, Lehtinen, MK,, 2015. Spatially heterogeneous choroid plexus transcriptomes encode positional identity and contribute to regional cerebrospinal fluid production. J Neuroscience, 35(12): 4903-4916.